(Brief)
Restate the lines further down up to the one that holds "1.284, C8", that line included.
(Input)
#i
Molecular formula: C5H7N
Method: DFT, ωB97M-V with the def2-TZVPD basis set

Bonds (Å) are listed after each position.
CARTESIAN COORDINATES (ANGSTROEM)
1 H -1.537 1.098 2.257  C9 1.018
2 C 0.214 -0.474 -0.679  N3 1.188, C7 1.425
3 N -0.967 -0.503 -0.563  C2 1.188, C8 1.366
4 H 0.720 -0.992 -2.425  C7 1.054
5 H 0.655 0.412 0.479  C6 1.152
6 C 0.257 0.965 1.408  H5 1.152, C9 1.298, H13 1.130
7 C 1.255 -0.968 -1.518  C2 1.425, H4 1.054, H10 1.154, H12 1.091
8 C -1.738 0.071 0.409  N3 1.366, C9 1.444, H11 1.044
9 C -1.035 0.839 1.410  H1 1.018, C6 1.298, C8 1.444
10 H 2.079 -0.168 -1.638  C7 1.154
11 H -2.771 -0.052 0.502  C8 1.044
12 H 1.792 -1.906 -1.368  C7 1.091
13 H 1.076 1.677 1.725  C6 1.130

The value obtained for the HOMO energy is -6.81 eV.

---

#ii
Molecular formula: C5H7N
Method: DFT, ωB97M-V with the def2-TZVPD basis set

Bonds (Å) are listed after each position.
CARTESIAN COORDINATES (ANGSTROEM)
1 H 1.642 -1.010 -1.621  N9 1.117
2 C 0.084 1.330 0.321  H5 1.051, C11 1.418, C13 1.517
3 H 1.022 -1.829 0.522  C7 1.123
4 H -1.703 -0.945 -0.673  C10 1.128
5 H 0.196 2.250 0.815  C2 1.051
6 H -1.485 -1.454 0.949  C10 1.114
7 C 0.375 -1.002 0.125  H3 1.123, N9 1.517, C10 1.577, C13 1.530
8 H -2.195 1.364 1.077  C11 1.189
9 N 0.703 -0.512 -1.274  H1 1.117, C7 1.517, C13 1.519
10 C -1.154 -0.641 0.264  H4 1.128, H6 1.114, C7 1.577, C11 1.543
11 C -1.215 0.856 0.634  C2 1.418, H8 1.189, C10 1.543
12 H 2.238 0.090 0.224  C13 1.162
13 C 1.136 0.310 -0.073  C2 1.517, C7 1.530, N9 1.519, H12 1.162

Its structure (SMILES) is C1=C[C@@H]2N[C@@H]2C1. The value obtained for the HOMO energy is -8.72 eV.

---

#iii
Molecular formula: C5H7N
Method: DFT, ωB97M-V with the def2-TZVPD basis set

Bonds (Å) are listed after each position.
CARTESIAN COORDINATES (ANGSTROEM)
1 H -1.228 -1.527 0.470  C8 1.170
2 N -0.519 0.837 0.529  H3 1.009, C9 1.376, C13 1.374
3 H -1.003 1.094 1.377  N2 1.009
4 C 0.621 1.031 -1.365  C6 1.423, H7 1.079, C9 1.368
5 H 0.294 -2.483 0.875  C8 1.096
6 C 0.708 -0.319 -0.924  C4 1.423, H12 1.085, C13 1.371
7 H 1.058 1.442 -2.262  C4 1.079
8 C -0.248 -1.561 1.109  H1 1.170, H5 1.096, H10 1.104, C13 1.471
9 C -0.125 1.722 -0.449  N2 1.376, C4 1.368, H11 1.079
10 H -0.374 -1.453 2.201  C8 1.104
11 H -0.431 2.756 -0.418  C9 1.079
12 H 1.182 -1.155 -1.428  C6 1.085
13 C 0.064 -0.383 0.284  N2 1.374, C6 1.371, C8 1.471

Its structure (SMILES) is Cc1ccc[nH]1. The value obtained for the HOMO energy is -7.65 eV.

---

What should be chosen as the least stable of them? Choose #i.

---

#i
Molecular formula: C5H7N
Method: DFT, ωB97M-V with the def2-TZVPD basis set

Bonds (Å) are listed after each position.
CARTESIAN COORDINATES (ANGSTROEM)
1 H 3.453 -1.071 0.424  C11 1.072
2 H 0.071 1.565 0.948  N7 1.019
3 H -1.853 0.543 -0.906  C9 1.100
4 H -1.895 -0.385 1.546  C12 1.086
5 H -1.576 -1.602 0.290  C12 1.097
6 C 1.574 -0.007 -0.321  C10 1.458, C11 1.213
7 N -0.330 1.644 0.015  H2 1.019, C9 1.445, C10 1.473
8 H 0.015 0.458 -1.796  C10 1.062
9 C -1.015 0.391 -0.210  H3 1.100, N7 1.445, C10 1.506, C12 1.485
10 C 0.351 0.624 -0.802  C6 1.458, N7 1.473, H8 1.062, C9 1.506
11 C 2.571 -0.563 0.087  H1 1.072, C6 1.213
12 C -1.191 -0.700 0.782  H4 1.086, H5 1.097, C9 1.485, H13 1.093
13 H -0.219 -0.946 1.218  C12 1.093

Its structure (SMILES) is C#C[C@@H]1N[C@@H]1C. The value obtained for the HOMO energy is -8.89 eV.

---

#ii
Molecular formula: C5H7N
Method: DFT, ωB97M-V with the def2-TZVPD basis set

Bonds (Å) are listed after each position.
CARTESIAN COORDINATES (ANGSTROEM)
1 C -3.171 -0.213 0.011  H3 1.104, N11 1.228, H13 1.121
2 H -0.716 -1.562 -0.429  C5 1.141
3 H -3.217 -1.311 -0.092  C1 1.104
4 H 2.526 -0.859 -0.898  C9 1.083
5 C -0.408 -0.531 -0.052  H2 1.141, C7 1.284
6 H 2.110 1.674 0.942  C8 1.091
7 C 0.770 -0.026 0.016  C5 1.284, C8 1.503, C9 1.488
8 C 1.756 1.107 0.079  H6 1.091, C7 1.503, C9 1.534, H12 1.139
9 C 2.221 -0.352 0.009  H4 1.083, C7 1.488, C8 1.534, H10 1.169
10 H 2.646 -0.555 1.079  C9 1.169
(Completed)
#i
Molecular formula: C5H7N
Method: DFT, ωB97M-V with the def2-TZVPD basis set

Bonds (Å) are listed after each position.
CARTESIAN COORDINATES (ANGSTROEM)
1 H -1.537 1.098 2.257  C9 1.018
2 C 0.214 -0.474 -0.679  N3 1.188, C7 1.425
3 N -0.967 -0.503 -0.563  C2 1.188, C8 1.366
4 H 0.720 -0.992 -2.425  C7 1.054
5 H 0.655 0.412 0.479  C6 1.152
6 C 0.257 0.965 1.408  H5 1.152, C9 1.298, H13 1.130
7 C 1.255 -0.968 -1.518  C2 1.425, H4 1.054, H10 1.154, H12 1.091
8 C -1.738 0.071 0.409  N3 1.366, C9 1.444, H11 1.044
9 C -1.035 0.839 1.410  H1 1.018, C6 1.298, C8 1.444
10 H 2.079 -0.168 -1.638  C7 1.154
11 H -2.771 -0.052 0.502  C8 1.044
12 H 1.792 -1.906 -1.368  C7 1.091
13 H 1.076 1.677 1.725  C6 1.130

The value obtained for the HOMO energy is -6.81 eV.

---

#ii
Molecular formula: C5H7N
Method: DFT, ωB97M-V with the def2-TZVPD basis set

Bonds (Å) are listed after each position.
CARTESIAN COORDINATES (ANGSTROEM)
1 H 1.642 -1.010 -1.621  N9 1.117
2 C 0.084 1.330 0.321  H5 1.051, C11 1.418, C13 1.517
3 H 1.022 -1.829 0.522  C7 1.123
4 H -1.703 -0.945 -0.673  C10 1.128
5 H 0.196 2.250 0.815  C2 1.051
6 H -1.485 -1.454 0.949  C10 1.114
7 C 0.375 -1.002 0.125  H3 1.123, N9 1.517, C10 1.577, C13 1.530
8 H -2.195 1.364 1.077  C11 1.189
9 N 0.703 -0.512 -1.274  H1 1.117, C7 1.517, C13 1.519
10 C -1.154 -0.641 0.264  H4 1.128, H6 1.114, C7 1.577, C11 1.543
11 C -1.215 0.856 0.634  C2 1.418, H8 1.189, C10 1.543
12 H 2.238 0.090 0.224  C13 1.162
13 C 1.136 0.310 -0.073  C2 1.517, C7 1.530, N9 1.519, H12 1.162

Its structure (SMILES) is C1=C[C@@H]2N[C@@H]2C1. The value obtained for the HOMO energy is -8.72 eV.

---

#iii
Molecular formula: C5H7N
Method: DFT, ωB97M-V with the def2-TZVPD basis set

Bonds (Å) are listed after each position.
CARTESIAN COORDINATES (ANGSTROEM)
1 H -1.228 -1.527 0.470  C8 1.170
2 N -0.519 0.837 0.529  H3 1.009, C9 1.376, C13 1.374
3 H -1.003 1.094 1.377  N2 1.009
4 C 0.621 1.031 -1.365  C6 1.423, H7 1.079, C9 1.368
5 H 0.294 -2.483 0.875  C8 1.096
6 C 0.708 -0.319 -0.924  C4 1.423, H12 1.085, C13 1.371
7 H 1.058 1.442 -2.262  C4 1.079
8 C -0.248 -1.561 1.109  H1 1.170, H5 1.096, H10 1.104, C13 1.471
9 C -0.125 1.722 -0.449  N2 1.376, C4 1.368, H11 1.079
10 H -0.374 -1.453 2.201  C8 1.104
11 H -0.431 2.756 -0.418  C9 1.079
12 H 1.182 -1.155 -1.428  C6 1.085
13 C 0.064 -0.383 0.284  N2 1.374, C6 1.371, C8 1.471

Its structure (SMILES) is Cc1ccc[nH]1. The value obtained for the HOMO energy is -7.65 eV.

---

What should be chosen as the least stable of them? Choose #i.

---

#i
Molecular formula: C5H7N
Method: DFT, ωB97M-V with the def2-TZVPD basis set

Bonds (Å) are listed after each position.
CARTESIAN COORDINATES (ANGSTROEM)
1 H 3.453 -1.071 0.424  C11 1.072
2 H 0.071 1.565 0.948  N7 1.019
3 H -1.853 0.543 -0.906  C9 1.100
4 H -1.895 -0.385 1.546  C12 1.086
5 H -1.576 -1.602 0.290  C12 1.097
6 C 1.574 -0.007 -0.321  C10 1.458, C11 1.213
7 N -0.330 1.644 0.015  H2 1.019, C9 1.445, C10 1.473
8 H 0.015 0.458 -1.796  C10 1.062
9 C -1.015 0.391 -0.210  H3 1.100, N7 1.445, C10 1.506, C12 1.485
10 C 0.351 0.624 -0.802  C6 1.458, N7 1.473, H8 1.062, C9 1.506
11 C 2.571 -0.563 0.087  H1 1.072, C6 1.213
12 C -1.191 -0.700 0.782  H4 1.086, H5 1.097, C9 1.485, H13 1.093
13 H -0.219 -0.946 1.218  C12 1.093

Its structure (SMILES) is C#C[C@@H]1N[C@@H]1C. The value obtained for the HOMO energy is -8.89 eV.

---

#ii
Molecular formula: C5H7N
Method: DFT, ωB97M-V with the def2-TZVPD basis set

Bonds (Å) are listed after each position.
CARTESIAN COORDINATES (ANGSTROEM)
1 C -3.171 -0.213 0.011  H3 1.104, N11 1.228, H13 1.121
2 H -0.716 -1.562 -0.429  C5 1.141
3 H -3.217 -1.311 -0.092  C1 1.104
4 H 2.526 -0.859 -0.898  C9 1.083
5 C -0.408 -0.531 -0.052  H2 1.141, C7 1.284
6 H 2.110 1.674 0.942  C8 1.091
7 C 0.770 -0.026 0.016  C5 1.284, C8 1.503, C9 1.488